'''
(1)
32
Properties=species:S:1:pos:R:3:lowdin_charge:R:1 method="wB97M-V/def2-TZVPD" charge=0 e_homo_ev=-8.746 gap_ev=9.17 lumo_energy_ev=0.43 e_tot_ha=-1584.4467 fmax_ev_per_a=0.650 relative_energy_kcal_mol=9.6 smiles="O=C(CCSc1ccc(Cl)cc1)Nc1cccnc1"
O -1.7089 -2.0326 -2.0663 0.081
C -0.9590 -1.2699 -1.5033 -0.477
C -0.5480 0.0644 -2.1252 -0.151
C 0.9582 0.2225 -2.3062 -0.430
S 1.8543 0.6658 -0.7722 0.952
C 1.1162 2.2027 -0.2803 -0.530
C 1.1425 2.5046 1.0780 -0.105
C 0.6137 3.6931 1.5390 -0.100
C 0.0467 4.5823 0.6372 -0.675
Cl -0.6301 6.0654 1.2071 0.679
C 0.0210 4.2918 -0.7175 -0.096
C 0.5620 3.1051 -1.1775 -0.094
N -0.4093 -1.4733 -0.2761 0.116
C -0.5433 -2.5776 0.5633 -0.197
C 0.2250 -2.6170 1.7265 -0.016
C 0.0992 -3.6975 2.5790 -0.067
C -0.7936 -4.7034 2.2380 -0.165
N -1.5240 -4.6731 1.1375 0.061
C -1.4098 -3.6466 0.3187 -0.076
H -1.0270 0.1136 -3.1052 0.125
H -0.9450 0.8786 -1.5122 0.112
H 1.1882 0.9793 -3.0556 0.069
H 1.4163 -0.7168 -2.6173 0.087
H 1.5866 1.8036 1.7680 0.104
H 0.6345 3.9278 2.5911 0.108
H -0.4140 4.9920 -1.4129 0.109
H 0.5506 2.9017 -2.2364 0.105
H 0.2622 -0.7801 0.0439 0.057
H 0.9104 -1.8098 1.9489 0.110
H 0.6811 -3.7567 3.4858 0.100
H -0.9316 -5.5703 2.8696 0.100
H -2.0254 -3.6697 -0.5674 0.104

---

(2)
34
Properties=species:S:1:pos:R:3:lowdin_charge:R:1 method="wB97M-V/def2-TZVPD" charge=0 e_homo_ev=-8.286 gap_ev=7.87 lumo_energy_ev=-0.42 e_tot_ha=-1370.9458 fmax_ev_per_a=1.323 smiles="O=C(Cc1cc(=O)[nH][nH]1)N/N=C/C(Cl)=C/c1ccccc1"
O 4.3985 2.6453 0.1743 0.074
C 3.4833 1.9662 -0.2296 -0.466
C 3.6130 0.8868 -1.2887 -0.033
C 3.8412 -0.4095 -0.5838 -0.262
C 3.0762 -1.5264 -0.5241 0.056
C 3.7542 -2.4975 0.3111 -0.498
O 3.4465 -3.6103 0.6829 0.028
N 4.9573 -1.8765 0.6396 0.086
N 4.9400 -0.5550 0.2196 0.053
N 2.2297 2.0890 0.2984 0.055
N 1.1996 1.3578 -0.1294 0.019
C 0.0560 1.4686 0.4216 -0.176
C -1.0659 0.6958 -0.0421 -0.617
Cl -0.6864 -0.3621 -1.3463 0.757
C -2.2812 0.8078 0.5349 -0.065
C -3.5469 0.1662 0.2616 -0.220
C -3.8343 -0.5761 -0.8884 -0.048
C -5.0818 -1.1428 -1.0652 -0.076
C -6.0702 -0.9897 -0.1068 -0.083
C -5.8052 -0.2509 1.0359 -0.083
C -4.5643 0.3239 1.2138 -0.041
H 2.7000 0.8220 -1.8759 0.114
H 4.4653 1.1314 -1.9250 0.132
H 2.1208 -1.6829 -0.9785 0.092
H 5.5249 -2.1382 1.4306 0.157
H 5.8177 -0.0871 0.0423 0.162
H 2.1068 2.7656 1.0576 0.168
H -0.1264 2.1520 1.2583 0.130
H -2.3162 1.4948 1.3735 0.112
H -3.0878 -0.6989 -1.6537 0.051
H -5.2851 -1.7096 -1.9617 0.105
H -7.0418 -1.4382 -0.2503 0.102
H -6.5710 -0.1213 1.7865 0.103
H -4.3665 0.8995 2.1071 0.109

---

(3)
36
Properties=species:S:1:pos:R:3:lowdin_charge:R:1 method="wB97M-V/def2-TZVPD" charge=+1 e_homo_ev=-11.990 gap_ev=8.77 lumo_energy_ev=-3.22 e_tot_ha=-1496.8876 fmax_ev_per_a=0.613 relative_energy_kcal_mol=41.4
Tl -0.4281 -1.0931 -2.2598 1.001
O -4.5219 -0.1100 1.0034 0.224
C -3.9257 -0.5908 0.1400 -0.416
O -3.3227 -1.0748 -0.7297 0.128
C -1.2207 0.0325 1.4710 -0.165
C -1.6520 0.6977 2.5944 -0.046
C -0.5213 1.1815 3.2783 0.009
C 0.6625 0.8219 2.6115 -0.029
C 0.3054 0.1142 1.4883 -0.168
N -0.4068 -0.4904 0.5621 0.189
C 2.8457 -0.2730 -0.0984 -0.400
O 3.3815 -0.1522 0.9159 0.239
O 2.3144 -0.3965 -1.1271 0.098
H -2.6881 0.8152 2.8674 0.099
H -0.5595 1.7568 4.1967 0.124
H 1.6773 1.0383 2.9040 0.104
I -3.1847 3.9153 0.3848 0.958
C -1.4338 3.3180 -0.5319 -0.725
C -0.2883 4.1027 -0.5528 -0.107
C 0.8363 3.6197 -1.2022 -0.035
C 0.7883 2.3671 -1.7905 -0.140
N -0.3030 1.6016 -1.7616 -0.049
C -1.3889 2.0811 -1.1631 -0.249
H -0.2748 5.0778 -0.0842 0.110
H 1.7441 4.2038 -1.2592 0.117
H 1.6558 1.9638 -2.2981 0.111
H -2.2763 1.4580 -1.1870 0.081
C 2.0874 -4.0471 -1.6321 -0.079
C 1.1947 -4.0935 -0.4177 -0.286
O -0.0276 -3.4000 -0.7338 -0.251
H 3.0282 -4.5624 -1.4376 0.089
H 2.3380 -3.0175 -1.8952 0.052
H 1.6136 -4.5228 -2.4900 0.087
H 1.6760 -3.6065 0.4366 0.114
H 0.9630 -5.1219 -0.1358 0.122
H -0.6877 -3.6145 -0.0665 0.090

---

(4)
34
'''

Transcribe all of the entries earlier on word for word.

(1)
32
Properties=species:S:1:pos:R:3:lowdin_charge:R:1 method="wB97M-V/def2-TZVPD" charge=0 e_homo_ev=-8.746 gap_ev=9.17 lumo_energy_ev=0.43 e_tot_ha=-1584.4467 fmax_ev_per_a=0.650 relative_energy_kcal_mol=9.6 smiles="O=C(CCSc1ccc(Cl)cc1)Nc1cccnc1"
O -1.7089 -2.0326 -2.0663 0.081
C -0.9590 -1.2699 -1.5033 -0.477
C -0.5480 0.0644 -2.1252 -0.151
C 0.9582 0.2225 -2.3062 -0.430
S 1.8543 0.6658 -0.7722 0.952
C 1.1162 2.2027 -0.2803 -0.530
C 1.1425 2.5046 1.0780 -0.105
C 0.6137 3.6931 1.5390 -0.100
C 0.0467 4.5823 0.6372 -0.675
Cl -0.6301 6.0654 1.2071 0.679
C 0.0210 4.2918 -0.7175 -0.096
C 0.5620 3.1051 -1.1775 -0.094
N -0.4093 -1.4733 -0.2761 0.116
C -0.5433 -2.5776 0.5633 -0.197
C 0.2250 -2.6170 1.7265 -0.016
C 0.0992 -3.6975 2.5790 -0.067
C -0.7936 -4.7034 2.2380 -0.165
N -1.5240 -4.6731 1.1375 0.061
C -1.4098 -3.6466 0.3187 -0.076
H -1.0270 0.1136 -3.1052 0.125
H -0.9450 0.8786 -1.5122 0.112
H 1.1882 0.9793 -3.0556 0.069
H 1.4163 -0.7168 -2.6173 0.087
H 1.5866 1.8036 1.7680 0.104
H 0.6345 3.9278 2.5911 0.108
H -0.4140 4.9920 -1.4129 0.109
H 0.5506 2.9017 -2.2364 0.105
H 0.2622 -0.7801 0.0439 0.057
H 0.9104 -1.8098 1.9489 0.110
H 0.6811 -3.7567 3.4858 0.100
H -0.9316 -5.5703 2.8696 0.100
H -2.0254 -3.6697 -0.5674 0.104

---

(2)
34
Properties=species:S:1:pos:R:3:lowdin_charge:R:1 method="wB97M-V/def2-TZVPD" charge=0 e_homo_ev=-8.286 gap_ev=7.87 lumo_energy_ev=-0.42 e_tot_ha=-1370.9458 fmax_ev_per_a=1.323 smiles="O=C(Cc1cc(=O)[nH][nH]1)N/N=C/C(Cl)=C/c1ccccc1"
O 4.3985 2.6453 0.1743 0.074
C 3.4833 1.9662 -0.2296 -0.466
C 3.6130 0.8868 -1.2887 -0.033
C 3.8412 -0.4095 -0.5838 -0.262
C 3.0762 -1.5264 -0.5241 0.056
C 3.7542 -2.4975 0.3111 -0.498
O 3.4465 -3.6103 0.6829 0.028
N 4.9573 -1.8765 0.6396 0.086
N 4.9400 -0.5550 0.2196 0.053
N 2.2297 2.0890 0.2984 0.055
N 1.1996 1.3578 -0.1294 0.019
C 0.0560 1.4686 0.4216 -0.176
C -1.0659 0.6958 -0.0421 -0.617
Cl -0.6864 -0.3621 -1.3463 0.757
C -2.2812 0.8078 0.5349 -0.065
C -3.5469 0.1662 0.2616 -0.220
C -3.8343 -0.5761 -0.8884 -0.048
C -5.0818 -1.1428 -1.0652 -0.076
C -6.0702 -0.9897 -0.1068 -0.083
C -5.8052 -0.2509 1.0359 -0.083
C -4.5643 0.3239 1.2138 -0.041
H 2.7000 0.8220 -1.8759 0.114
H 4.4653 1.1314 -1.9250 0.132
H 2.1208 -1.6829 -0.9785 0.092
H 5.5249 -2.1382 1.4306 0.157
H 5.8177 -0.0871 0.0423 0.162
H 2.1068 2.7656 1.0576 0.168
H -0.1264 2.1520 1.2583 0.130
H -2.3162 1.4948 1.3735 0.112
H -3.0878 -0.6989 -1.6537 0.051
H -5.2851 -1.7096 -1.9617 0.105
H -7.0418 -1.4382 -0.2503 0.102
H -6.5710 -0.1213 1.7865 0.103
H -4.3665 0.8995 2.1071 0.109

---

(3)
36
Properties=species:S:1:pos:R:3:lowdin_charge:R:1 method="wB97M-V/def2-TZVPD" charge=+1 e_homo_ev=-11.990 gap_ev=8.77 lumo_energy_ev=-3.22 e_tot_ha=-1496.8876 fmax_ev_per_a=0.613 relative_energy_kcal_mol=41.4
Tl -0.4281 -1.0931 -2.2598 1.001
O -4.5219 -0.1100 1.0034 0.224
C -3.9257 -0.5908 0.1400 -0.416
O -3.3227 -1.0748 -0.7297 0.128
C -1.2207 0.0325 1.4710 -0.165
C -1.6520 0.6977 2.5944 -0.046
C -0.5213 1.1815 3.2783 0.009
C 0.6625 0.8219 2.6115 -0.029
C 0.3054 0.1142 1.4883 -0.168
N -0.4068 -0.4904 0.5621 0.189
C 2.8457 -0.2730 -0.0984 -0.400
O 3.3815 -0.1522 0.9159 0.239
O 2.3144 -0.3965 -1.1271 0.098
H -2.6881 0.8152 2.8674 0.099
H -0.5595 1.7568 4.1967 0.124
H 1.6773 1.0383 2.9040 0.104
I -3.1847 3.9153 0.3848 0.958
C -1.4338 3.3180 -0.5319 -0.725
C -0.2883 4.1027 -0.5528 -0.107
C 0.8363 3.6197 -1.2022 -0.035
C 0.7883 2.3671 -1.7905 -0.140
N -0.3030 1.6016 -1.7616 -0.049
C -1.3889 2.0811 -1.1631 -0.249
H -0.2748 5.0778 -0.0842 0.110
H 1.7441 4.2038 -1.2592 0.117
H 1.6558 1.9638 -2.2981 0.111
H -2.2763 1.4580 -1.1870 0.081
C 2.0874 -4.0471 -1.6321 -0.079
C 1.1947 -4.0935 -0.4177 -0.286
O -0.0276 -3.4000 -0.7338 -0.251
H 3.0282 -4.5624 -1.4376 0.089
H 2.3380 -3.0175 -1.8952 0.052
H 1.6136 -4.5228 -2.4900 0.087
H 1.6760 -3.6065 0.4366 0.114
H 0.9630 -5.1219 -0.1358 0.122
H -0.6877 -3.6145 -0.0665 0.090

---

(4)
34